(2011/01) Jan 2011

mums n babes sale,

3am?!? All the sleepless pregnant women queuing is it? But the discounts do sound good. Hai...why didn't I see the thread earlier?


yah I always thought firmer mattresses are better for both adults and kids cos they give better spinal support, esp kids who are growing.


try to take your fish oil more regularly, esp if you don't eat fish. supposed to be very good for brain development at this stage and throughout your breastfeeding too.


think it was a good idea to get your pains checked out, at least now you know for sure nothing is wrong rather than worrying about it and affecting baby inside. btw, what do you mean by 10 clusters a day?


I highly doubt that 6 pads can tahan 2 days...even the overnight ones. haha. Think even during my normal period flow also would have been just nice. Aren't we supposed to be bleeding quite heavily, hence the need for disposable underwear etc?


is it that breast pains indicate potential milk flow?I only have experienced slight leaking of some fluid, the kind that can stain your clothes type.


you delievered your number 1 in sg? Or also in abu dhabi? How are you dealing with the heat there?? I have to have the air con on in the afternoons and at night or I go mad...can't imagine the extreme temperatures over there.


wah your husband is dedicated! Usually its the mums who go and queue...

Hubby n I left after seeing that slots are all gone.. will b going back for the sale later.. staying nearby.. [IMG=http://www.singaporemotherhood.com/forumboard/clipart/happy.gif] check back later..

Argh,... morning ladies! Jus came out of a meeting feeling all hot and angry!!! Stupid ppl making stupid comments! So glad its only another 3.5 days before I go on ML and not see these stupid ppl again! Argh!!!! Feel like punching someone now... Hmph!

Luckymummy - Yes he has been very supportive through out my pregnancy, quite a participative father, I must say..but I hope it is not like what some of the other mummies said...only so on cause its our first child...haha...

But seriously, in our current condition, quite challenging to cheong sales like this...dunno bout you guys but I can stand for very long these days without get achy ankles and back...

chabby & luckymummy>> decided to throw in another 10 pads.. bring 2 different brands to try.. lol.. threw the extras into another bag and pointed to hubby that that's where i'm storing the extras in case he needs to bring down..

lina>> will resign to fate if i need to get anything from hosp.. i saw the M&S maternity bras.. not sexy at all too.. haha.. i give up la.. i'll wait till i go back to size than order my VS bras.. hur hur.. VS beats triumph, la senza all that brands hands down..

kikapo>> ur hubby power.. go by himself..

luckymummy>> the disposable underwear is such that we dont need to touch water to wash our underwear.. can just wear and throw away..

re: mums and babes sale

it's crazy pple are queueing up at 3am in the morning.. and the best thing i saw? out of the first 15 pple, more than half are males queueing.. well-prepared with laptops etc to keep them entertained.. =.=" the first few are all men and they dont even look as if they are buying it for their wives.. bleah.. i also saw some ladies in their early 20s who doesnt even seemed to be married yet.. hubby commented they could be professional bargain hunters who would queue for those early bird items than later sell off at a higher price to earn some profit.. irritating..

35 weeks 0 days today~

Went out to dinner with friends last night... All happily discussing Christmas plans (Steamboat dinner at someone's place.. gift exchange.. wii all evening)... =P dunno if i have a chance to join lo~

bb is so low, backache getting bad, groin pain even worse, everytime bb moves i can feel my gastric juices overflowing, slow clumsy and waddling everywhere i go... how to enjoy e festive season ah~ not to mention i look like crap when clock strikes 11pm n i m still not in bed....

Pinky >> I agree with your hubby, either they are bargain hunters or they may be family members who have been tasked to queue on behalf..maybe those younger brothers and sisters who are enjoying their school holidays.

BTW, hubby just left the sale, he says the baby heartbeat monitor is selling for $10...he bought one for a friend who is also recently expecting....he ended up buying $600 plus worth of things, including a Baby Jogger Elite and some accessories, the baby monitor and a thong (not the G-string) for picking up sterilised bottles for $2...


Sorry to interrupt.

I have a set of brand new AVENT dual spare parts for sale. It consists of the 2 funnels and the tubing. I bought it at $170. willing to let go at a lower price. If interested, please pm me.


kikapo, haahahahaha, I laugh at the thong!!! Is the Baby Jogger Elite very bulky? but not bad, your hubby is in and out of there in less than 3 hours!

nimkulut>> same here.. having a number of festive plans.. but dunno whether will be able to attend in the end.. oh well..

kikapo>> i really wonder if i'll have much to buy when i go.. i'm only interested in the diapers caddy (how useful.. i really dunno), medela PISA and probably some other small items.. hubby and i should be going back later in the afternoon.. lol.. both of us not working now.. so can take our time..

pinky, you mentioned all slots of the mums & babes sale are gone meaning that the sale only allows limited ppl to go in at each slot? So it is not opened to all ppl like those bb fair?

puix2>> the slots are for the early bird special items.. [IMG=http://www.singaporemotherhood.com/forumboard/clipart/happy.gif] should be able to go in freely..

Kikapo>> is your hubby an early bird?

Intend to get a baby monitor, is there good discount on this item if not an early bird?


10 Clusters means 10 separate bouts of movements throughout the day. Supposed to be essential to monitor especially towards the end of our pregnancy..

HI Lina,

my #1 will turn 2ys old in January le. so the sisters will be 2yrs old apart.

I've decided to put the 2 sisters together in the same room. Coz I do not want #1 to hv jealousy over #2, if #2 were to room-in in our masterbed rm. #1 is very sticky n close to us.

Also, I hope the 2 sisters will learn to get used to each other, the noise each other makes at bed time etc. Basically, I want them to bond well with each other. So I think by putting them together in the same room will help lor.


ur ML is starting quite early? chill...stupid pple are not worth getting angry over..think of baby.

<<<
Record 1
20
Properties=species:S:1:pos:R:3 method="wB97M-V/def2-TZVPD" spin_multiplicity=3 s_squared=2.045 homo_lumo_gap_ev="6.629 / 7.352" homo_ha="-0.212 / -0.296"
C 1.867 1.534 1.325
C 0.665 1.589 2.041
C 1.975 0.733 0.229
C -0.413 0.837 1.637
C 0.867 -0.058 -0.228
C -0.367 0.009 0.508
C 1.090 -0.752 -1.357
C -3.021 -1.437 -1.623
C -1.764 -1.566 -0.882
N 1.515 -1.486 -2.216
N -1.487 -0.664 0.178
O -2.839 -2.428 -0.633
H 2.710 2.130 1.640
H 0.582 2.222 2.909
H 2.897 0.670 -0.329
H -1.336 0.875 2.199
H -3.095 -1.822 -2.639
H -0.868 -2.040 -1.281
H 1.505 -1.317 -3.215
H -2.293 -0.483 0.764

=====

Record 2
22
Properties=species:S:1:pos:R:3 method="wB97M-V/def2-TZVPD" spin_multiplicity=3 s_squared=2.057 charge=-1 homo_lumo_gap_ev="6.597 / 6.048" homo_ha="-0.110 / -0.138"
C -2.209 1.049 -2.227
C -1.881 2.390 -1.838
C -1.662 -0.112 -1.725
C -0.931 2.447 -0.842
C -0.696 -0.057 -0.693
C -0.511 1.239 -0.101
C 1.053 -0.959 0.728
C -0.068 -1.176 -0.151
C 2.379 -1.615 2.586
N 0.417 1.255 0.888
N 1.182 -1.605 1.819
O 0.807 2.347 1.412
O 0.449 -3.681 -0.169
P -0.659 -2.722 -0.483
H -2.945 1.086 -2.955
H -2.056 3.201 -2.486
H -1.963 -1.086 -2.117
H -0.497 3.466 -0.544
H 1.870 -0.360 0.310
H 2.243 -2.537 3.233
H 3.264 -1.767 2.014
H 2.413 -0.804 3.339
>>>


mine too...cld really be the novelty of the first one *fingers crossed*

I love sales, was able to withstand the robinsons sales from 1030 to 4, with a lunch break in between. It's the thrill of the hunt lah. =P

haha i like the thong joke too. i bought mine for about $10 from pigeon. he got a good deal!


after reading your post I'm also repacking my pad arsenal..added some normal overnight pads to the stash. hehe

diaper caddy,

is it the JJ cole one? I saw at mothercare...nice, but cld be impractical. seems a bit small if we're referring to the same thing.

disposable panties..oh was still thinking can maybe wash them n reuse once if they can withstand the washing.

Luckymummy: Yah, am taking 28 days prior to EDD + 6 days unpaid. No point in staying at the company when I'm not welcomed. Already had lots of differences with my boss when my pregnancy just started and now with another new manager on board, things are getting worse. Can't even do his job and wants to throw his weight around... Cannot stand him! Argh!!!

Baby Jogger>> Hubby says it is very sturdy and can be used with the maxi cosi ingant car seat...think it is about 10kg but the key feature is the one-step to collapse the stroller. Our first choice is the Baby Jogger City mini which is OOS, so since the Elite is on 50% discount, we decide to get it. Hubby also bout the accessory that allows #1 to sit in front of #2 (when he or she comes along)...maybe a bit kiasu and premature, but it is the sale mentality lor..haha...

Diaper Caddy>> I had also wanted to get one from a spree here, but it is quite ex. In the Dec issue of Mother & Baby, they have a feature on diaper caddies, think Kiddy Palace has a fairly decent one that is cheaper...when I get home I can scan and post it on FB [IMG=http://www.singaporemotherhood.com/forumboard/clipart/happy.gif]

Puix2>> Nope hubby is not really an early bird at the sale...so if you head down this afternoon you may still be able to get the baby monitor bah..it is quite a good deal at $10

Hi Kikapo, any idea what kinda baby monitor is on sale at $10? I'm thinking of getting one after work. Any idea what time the sale ends?


i was eyeing on the munchkin diaper change organiser.. going at $59.9 at tom and stephanie..but hubby protested saying it may be a waste of $$.

so is the mums n babes worth going?? we r think if we shld go. honestly, i feel that the essential are all stock up le. see more, spend more buy more le..hmm


I see...yup I know the feeling of not being appreciated. Seems to be compounded once u're pregnant too. Dunno why...hey I'm only pregnant, I didn't become stupid or inefficient. The new manager is probly "xing guan shang ren" so needs to assert himself a bit and make changes no matter how unnecessary.


wow...#1 not out yet and planning for #2?? hehe. I'm just seeing if I will survive the first one.


the munchkin one hangs on the side of the cot? Seems a bit small to me. Unless you have no place to put all your baby barang and need extra slots, I don't think you will use it much.

dry shampoo,

I seem to recall a discussion on this...but what brand is recommended for confinement? where can I get it?


I stayed here throughout my pregnancy for no.1, went back to SG when I was 7months plus, gave birth in SG. Came back with her when she was 2months plus, the weather was perfect. Only during the summer months (June – Aug) are terrible at 45 to 50 deg. Now its perfect, winter here 15-23deg !! Then again, most of the places & apartments are air-conditioned 24hours a day.


U using normal sanitary pads ? Does it work ? Yea its terrible, that’s one thing about breastfeeding that I don’t like. By the way when are we getting the bravado nursing bras ?


Does your no.1 still wake up in the middle of the night? Mine sleeps at 9pm, wakes up at 12 plus for milk then sleeps till 6am for milk but always at 3am she will be awake & need to be pat back to sleep. Now hubby takes over the night duty, but once she sees me, she will only wants me to pat her back to sleep. So I am afraid that both no.1 & 2 wants my attention in the middle of the night. Hai ~

Bravado Bras spree..

I just checked with BebeLounge.

The shipment just reach SG this morning. Think BebeLounge will email us when they are going to mail the bras out to us. That's what they usually do.


My #1 sometimes wakes up in the middle of the night crying. Think toddlers at this age has frequent dreams n nightmares. I always juz get my hb to go settle her. He will carry her for 1min and she will settle back to sleep. She still does wakes up for milk ard 5-6am.

Maybe you make the best arrangements for yourself. You can put bb in ur room for first few mths first, then later transfer bb to sleep with #1. But keep in mind that with the arrival of #2, it's a big transitional change for our #1. So it depends how fast n how frequent you wana make changes in your children's lifestyle.

Are you getting a confinement lady to help you during the first month? How is she going to help you with your baby if your baby sleeps in your room with you?


so even one kick about 10x a day is considered a cluster?


ahh i see...can see I've had misconceptions about the weather in abu dhabi. hehe

Akaysha - It is really a baby heartbeat monitor, not a baby monitor...Hubby says it is call Bebesounds fetal Heartbeat Monitor

Chabby - I am also super tempted to get one, but wasn't sure if it will be a white elephant....hmmm


Yes, but usually when baby moves, they move a few times at a go, so that is considered 1 cluster.

I'm not working, so at home most of the time, very free to monitor, maybe tts why I get so paranoid. Haha

Hi mummies, I just back from the sale. No 10 bucks monitor left. And dint get anything except a forehead thermometer at 20%discount but still cost 55.92bucks. Unless u r medela supporter, if not, I think can forget abt it :p


yup I'm at home now as well. A few weeks back my doctor said no need to count kicks cos it may make you panic unnecessarily...will ask him again about it this Tue.


thanks for the update. hubby n i decide to give it a miss. cuz we usually end up being tempted to buy white elephants..hur hur..

but the thermometer sounds like a good buy. i have intention to buy one thermometer, either ear of forehead.

Re: Diaper organizer

I got the munchkin one when I had #1 and found it extremely useful for the first few mths cos my cot is also my changing station. I hv all of bbs essentials (diapers, tissue, wet wipe, diaper cream, fresh change of clothes etc) there. Cot is in the master bedroom whilst all the rest of her things r in the other room.

So aft her bath or if she needs diaper change or spits up milk I just change her on the cot n hv everything within easy reach.

Diaper Organizer

I think I saw it at the parenthood fair at expo and it was selling at 39.90. I guess the one at Toh Guan is selling more expensive then. Or either that its a totally different Diaper Organizer.

Baby Cardigans

Can any kind soul please enlighten me as to what this thing looks like? Is it jus a long sleeve top button front? Supposed to be bigger than the usual and made of different material? I keep reading in websites that we should prepare a few for nb, but is it really necessary given the weather in Singapore being humid and warm most of the time?

hi mummies,

i have a Ameda Lactaline Personal Dual Electric Breast Pump (the latest model, BPA free) to let go at S$180. Bought in Nov 2010 (1 year warranty) and only used once. want to sell because gave up breasfeeding. please sms 97492202 if you are interested.


yup.. heard of jumperoo. walkers are not recommended.. so there's this device that allow the baby to sit down and let them jump to burn off excess energy. these are not cheap.

i intend to shower before i go hospital. but i fail the swab test (group b strep test) anyone can advice me on this? do i have to rush in or i can dilly-dally and wait for contraction to be closer than go hospital?

but if you clear the swab test, there shouldn't be a problem on shower before going. anyway, the doc will probably tell u to wait for contraction to be about 5min apart before going in esp if it's the first delivery. so can take ur time shower n check that everything is in hospital bags.


thanks for sharing on the diaper organiser. it's still on my " KIV buy list". but the shop that sells this is jus 1 mrt station away. so not so bad la.

My gynae dint mentioned to my about swab test but she did told me during last appt if my water bag burst, I can still wait for 3 to 4 hrs then only go hospital.

Hi Chabby

from what I have read, its safer to go to the hospital once you have the contractions to avoid any complications. If you are still unsure do check with your doc and see what the advise is.

In the meantime, don't worry too much! Everything will turn out fine!


My friends say their kids had a lot of fun in a jumperoo..seems like a modern 'must have' but you may wanna wait and let your kid try somewhere first? In case baby doesn't like the experience. Cos even most 2nd hand FP jumperoos sell for ard $180. And the lifespan of it in your home is limited to a few months only.


shd be able to at least shower first i guess? if you are strictly following confinement rules it will be your last shower in a long long time!


yeap that's what all the experts say .. walkers aren't recommended. But it's up to you. As long as your flat/condo apt has no step eg from kitchen to hall kinda thing, should be fine. It doesn't slow down when the baby walks.

My girls were all in walkers from 6 months onwards, and my 1st girl walked at 1 yr, my 2nd at 10 months, my 3 at 9 months and my 4th at 11 months. I personally find the jumperoo and the exersaucer not very useful. I bought new walkers each time for my girls and it is not expensive and very entertaining and they were thrilled to be able to move around the hall. This is just my opinion :p

Hi mummies

Been missing for long but still try to read every 2/3 days and the thread goes so fast. I have to spend more than an hour to read from where I stop...By the time I finish reading, very tired and forgot which mummies ask A question, which mummy ask B question..haha

Today suppose to be my last day but the colleague that I handover to is already tender, so I gotto come back on Monday, handover to another colleague..

Baby will arrive in 10 days..so anxious, I dunno if I am fully ready..how how how..

# The piece is interrupted by data records
-- begin --
Density functional theory data (ωB97M-V/def2-TZVPD) for one molecule with the formula C5H11NO2.

LUMO = 0.7 eV
Calculated total energy = -402.28972 Ha
SMILES = CCC[C@@H](N)C(=O)O
Charge = 0
Multiplicity = 1
Energy relative to the best compared isomer or geometry (same formula, charge and spin) = 2.406 eV

Positions of all 19 atoms, in Å:
C 0.067 -2.520 -1.344
C 0.785 -1.211 -0.916
C 0.191 -0.509 0.315
C 0.012 1.084 0.210
N -1.287 1.550 -0.203
C 0.360 1.702 1.463
O 1.179 1.438 2.323
O -0.403 2.935 1.461
H -1.012 -2.707 -1.156
H 0.334 -3.340 -0.667
H 0.368 -2.797 -2.302
H 0.852 -0.576 -1.842
H 1.931 -1.393 -0.996
H 0.610 -0.816 1.292
H -0.905 -0.797 0.602
H 0.810 1.458 -0.600
H -1.843 0.766 -0.277
H -1.820 2.176 0.404
H -0.230 3.557 2.232

Results of the Löwdin charge analysis, in e, for atoms 1 through 8: atom 1 (C): -0.126, atom 2 (C): -0.253, atom 3 (C): -0.133, atom 4 (C): -0.331, atom 5 (N): 0.048, atom 6 (C): -0.427, atom 7 (O): 0.111, atom 8 (O): -0.013

* * * * *

C5H12ClINP | ωB97M-V/def2-TZVPD

For the gap between HOMO and LUMO (spin up / spin down), the calculation gives 0.3002 / 0.2584 Eh. The total energy comes out at -36777.7785 eV. For the LUMO energy (spin up / spin down), the calculation gives -0.880 / -1.077 eV. The energy above the lowest of the compared OMol25 structures with the same formula, charge and spin comes out at 2.771 eV. The largest force on an atom is 3.4 eV/A. The HOMO energy (spin up / spin down) comes out at -0.3325 / -0.2979 hartree.

Bonds (Å) are listed after each position.
Element x y z (Å)
1 C -0.20586 -1.55615 1.77318  C3 1.551, H10 1.074, H11 1.034, H12 1.058
2 C 1.36265 1.96406 0.80902  C4 1.544, H13 1.124, H14 1.084, H15 1.030
3 C -0.40449 -1.37792 0.24504  C1 1.551, C5 1.595, H16 1.053, H17 1.071
4 C 0.03553 1.20998 0.57892  C2 1.544, C5 1.577, H18 1.107, H19 1.035
5 C 0.38251 -0.08355 -0.25438  C3 1.595, C4 1.577, N6 1.444, H20 1.061
6 N 0.12357 0.08088 -1.66521  C5 1.444, I9 1.993
7 P -2.52793 0.00512 -3.30609  Cl8 2.045, H21 1.419
8 Cl -2.69246 -1.96521 -2.78300  P7 2.045
9 I 1.51473 1.09075 -2.67338  N6 1.993
10 H 0.83886 -1.42447 1.98510  C1 1.074
11 H -0.62214 -0.77234 2.30424  C1 1.034
12 H -0.67261 -2.40558 2.19648  C1 1.058
13 H 2.05869 1.28495 1.37253  C2 1.124
14 H 1.72569 2.36665 -0.12977  C2 1.084
15 H 1.17041 2.73848 1.46009  C2 1.030
16 H -1.44368 -1.28494 0.10217  C3 1.053
17 H 0.16184 -2.13954 -0.25116  C3 1.071
18 H -0.38982 0.70180 1.46588  C4 1.107
19 H -0.69280 1.74862 0.07787  C4 1.035
20 H 1.38908 -0.28237 0.01472  C5 1.061
21 H -1.11176 0.10076 -3.32227  P7 1.419

* * * * *

17
Properties=species:S:1:pos:R:3:forces:R:3:lowdin_charge:R:1 method="wB97M-V/def2-TZVPD" max_force_ev_per_a=1.431 homo_energy_ev=-8.301 e_above_lowest_kcal_mol=31.7 orbital_gap_ev=7.7 total_charge=0 total_energy_ha=-1160.0556
C 0.902 0.775 -2.053 -0.12 0.32 0.49 -0.298
C 1.441 0.710 1.088 -0.32 0.37 -0.38 -0.246
C -1.664 -1.831 1.284 -0.01 -0.48 -0.31 -0.402
Si 0.632 1.621 -0.367 1.33 -0.49 -0.17 0.119
-- stop --
# The piece goes on

jia you....


you're going for a c-sect? how come you're so sure baby will arrive in 10 days? lol.

we're all anxious .. it's normal. for me, 5th time around and I'm still worried. lol :p how to not be?!!

Too exciting till I get anxious..i dunno how life change with a new member.

Oh ya, any mummies has the link that sell brand new Medela free style breast pump (US set)?


ya, kimmy doing c-sec. low placenta if i din remember wrongly.

jumperoo are ex.. may just loan it for a few months from some firm perhaps. dun think i'll buy walker cuz read of accidents involving walkers. floor space also limited.


dun worry. c-sec half hours or so done le. it's after the c-sec that you need to be extreme careful and dun feel bad about getting the nurse to help u as you can't get off the bed for a day.


prior to swab test, my gynae say after 36 weeks i can slowly take my time to hospital. but now swab test fail, need to put on IV w antibiotics to prevent the bacteria from passing to the baby. so dunno if i can still take my time.


i wan to shower!! esp wash hair. i believe my mum won't let me wash hair. she say only 2x the entire month.. sure stink n itch..!

how to mummies deal w it? experience mummies can share??

